What to Do When Your Dog Refuses Dental Care

What to Do When Your Dog Refuses Dental Care

Dental care is a crucial aspect of your dog's overall health, but what do you do when your furry friend staunchly refuses to have their teeth brushed? This common challenge can be frustrating for pet owners, but there are effective alternatives to maintain your dog's dental health without resorting to brushing.

Understanding Your Dog's Reluctance

Dogs may resist teeth brushing due to discomfort, unfamiliarity, or negative past experiences. Understanding your dog’s specific reasons is the first step in finding a suitable alternative solution.

Ways to clean dog teeth without brushing

How to clean dog teeth without brushing? There are several effective methods to clean your dog’s teeth without brushing. These alternatives not only promote oral health but can also be enjoyable for your dog.

********
<1>
Here is a single C6H11NO molecule from the OMol25 dataset. Energies are from the ωB97M-V functional and the def2-TZVPD basis.

Last column: Löwdin charge in e.
Positions of all 19 atoms, in Å:
1 C 0.99 0.60 -2.24  -0.152
2 C 1.28 0.18 -0.84  -0.206
3 C 0.14 0.57 0.11  -0.256
4 C -0.74 -0.57 0.37  -0.199
5 C -2.26 -0.34 0.63  -0.072
6 N 0.15 0.10 1.41  -0.002
7 C 0.95 -0.23 2.36  -0.334
8 O 2.18 0.01 2.23  -0.028
9 H 1.69 0.22 -2.99  0.082
10 H 0.46 1.51 -2.50  0.074
11 H 0.15 0.06 -2.62  0.053
12 H 2.34 0.41 -0.50  0.123
13 H 1.38 -1.00 -1.07  0.157
14 H -0.51 1.54 -0.04  0.195
15 H -0.56 -1.50 0.06  0.097
16 H -2.33 -0.88 1.61  0.073
17 H -2.77 0.70 0.90  0.110
18 H -2.92 -0.69 -0.29  0.101
19 H 0.40 -0.71 3.40  0.182

Values from the calculation:
SMILES: CC[C@H]1[C@H](C)N1C=O
Frontier orbital gap in hartree: 0.379

<2>
Here is a single C6H11NO molecule from the OMol25 dataset. Energies are from the ωB97M-V functional and the def2-TZVPD basis.

Last column: Löwdin charge in e.
Positions of all 19 atoms, in Å:
1 C 2.48 -0.48 0.18  -0.066
2 C 1.29 0.07 -0.43  -0.289
3 C 0.12 -0.85 -0.54  -0.163
4 O -1.23 -0.75 -1.19  -0.141
5 C -2.13 -0.45 -0.01  -0.153
6 C -1.14 -0.08 1.12  -0.105
7 C 0.03 0.50 0.26  -0.398
8 N -0.38 1.73 -0.37  0.025
9 H 2.12 -1.40 0.61  0.068
10 H 3.16 -0.67 -0.73  0.117
11 H 2.94 0.32 0.83  0.111
12 H 1.37 0.79 -1.34  0.175
13 H 0.18 -1.81 0.02  0.147
14 H -2.82 -1.28 0.28  0.119
15 H -2.82 0.30 -0.34  0.095
16 H -0.93 -0.88 1.76  0.090
17 H -1.60 0.88 1.52  0.124
18 H -1.02 1.61 -1.22  0.125
19 H 0.40 2.46 -0.41  0.119

Values from the calculation:
SMILES: C[C@H]1[C@@H]2OCC[C@@]12N
Frontier orbital gap in hartree: 0.324

<3>
Here is a single C6H11NO molecule from the OMol25 dataset. Energies are from the ωB97M-V functional and the def2-TZVPD basis.

Last column: Löwdin charge in e.
Positions of all 19 atoms, in Å:
1 C -0.52 1.01 1.35  -0.043
2 C -0.32 0.16 0.09  -0.580
3 C -0.45 -1.32 0.45  -0.044
4 C -1.38 0.53 -0.96  -0.049
5 C 1.06 0.47 -0.46  -0.152
6 N 1.79 -0.46 -1.36  0.177
7 C 2.22 -0.35 -0.10  -0.470
8 O 3.03 -0.72 0.69  0.119
9 H -0.43 2.07 1.12  0.084
10 H 0.23 0.75 2.10  0.091
11 H -1.51 0.83 1.77  0.086
12 H -1.41 -1.51 0.91  0.088
13 H -0.37 -1.95 -0.44  0.081
14 H 0.33 -1.62 1.15  0.088
15 H -2.37 0.32 -0.59  0.085
16 H -1.32 1.59 -1.20  0.083
17 H -1.22 -0.04 -1.88  0.082
18 H 1.20 1.51 -0.75  0.145
19 H 1.44 -1.25 -1.88  0.127

Values from the calculation:
SMILES: CC(C)(C)[C@@H]1NC1=O
Frontier orbital gap in hartree: 0.376

Tell me which of them is the least stable. Sure, it is <2>.

<1>
Here is 2 unconnected molecules or ions with the total composition C5H14Cl2Si2 from the OMol25 dataset. Energies are from the ωB97M-V functional and the def2-TZVPD basis.

Last column: Löwdin charge in e.
Positions of all 23 atoms, in Å:
1 C -0.04 -2.68 0.30  -0.220
2 Si 0.30 -1.12 1.43  0.452
3 C 2.21 -0.67 1.31  -0.188
4 C 0.07 -1.64 3.30  -0.214
5 Si -1.35 0.43 0.88  -0.291
6 Cl -1.97 0.28 -1.11  0.184
********

Dental Chews and Treats

• Molecular data from another source follow:
Entry from the OMol25 dataset: an isolated molecule of C3H8O2 in a non-equilibrium geometry (ωB97M-V/def2-TZVPD).

SMILES string: C[C@@H](O)CO
Maximum force in Eh/bohr: 0.05052
Energy above the lowest of the compared OMol25 structures with the same formula, charge and spin in eV: 1.540

Atoms and positions in Å:
C -1.60756 0.32248 0.22010
C -0.31033 -0.36502 -0.16786
O -0.16289 -0.58142 -1.53032
C 0.90821 0.33555 0.42228
O 2.03380 -0.37469 -0.07934
H -1.59492 1.37538 0.55293
H -1.63584 -0.38886 1.02709
H -2.44358 0.15556 -0.47091
H -0.34968 -1.38276 0.39827
H 0.71212 -0.99482 -1.53965
H 0.96563 1.40937 0.18076
H 0.85687 0.23387 1.51399
H 2.62455 0.24675 -0.51098

Cartesian forces, eV/Å:
0.1 -0.5 0.2
0.1 -0.5 0.7
0.3 -0.1 -0.3
-0.2 0.0 0.1
0.5 0.1 0.1
0.3 -0.5 -0.3
-2.0 0.8 1.4
0.4 -0.1 0.2
0.4 1.1 -1.2
0.1 0.0 -0.7
-0.2 -0.3 -0.1
0.2 0.1 -0.1
0.1 -0.1 0.0

***

Entry from the OMol25 dataset: an isolated molecule of C3H8O2 (ωB97M-V/def2-TZVPD).

SMILES string: C[C@@H](O)CO
Maximum force in Eh/bohr: 0.00735
Energy above the lowest of the compared OMol25 structures with the same formula, charge and spin in eV: 0.647

Atoms and positions in Å:
C -0.15421 -1.01433 -1.27637
C 0.46653 -0.17572 -0.17567
O 1.18571 0.88262 -0.77671
C -0.57659 0.38777 0.77589
O 0.10898 1.21583 1.70591
H -0.82920 -0.40748 -1.88947
H -0.71836 -1.85319 -0.85310
H 0.62722 -1.41599 -1.92665
H 1.14737 -0.80349 0.42514
H 1.44917 1.47513 -0.05740
H -1.31103 0.98457 0.21513
H -1.10784 -0.43393 1.27594
H -0.26795 1.08429 2.58023

Cartesian forces, eV/Å:
0.0 0.0 0.0
-0.2 -0.3 0.1
0.1 0.2 0.1
-0.2 -0.2 -0.3
-0.1 0.0 0.3
0.1 -0.1 0.1
0.1 0.1 -0.1
-0.1 0.1 0.1
-0.1 0.1 -0.1
0.0 -0.1 -0.2
0.1 -0.1 0.1
0.1 0.1 0.0
0.1 0.1 -0.1


C8H16O5 | ωB97M-V/def2-TZVPD

Structure (ORCA input):
```
! wB97M-V def2-TZVPD RIJCOSX def2/J DEFGRID3
* xyz 0 1
C 1.093 1.220 0.783
C 2.463 0.507 0.565
C 2.732 0.159 -0.895
C -1.271 0.960 0.552
C -1.574 -1.354 -0.622
C -3.268 0.630 -0.920
C -3.246 -0.654 1.167
C -2.296 -0.111 0.027
O -0.018 0.384 0.582
O 2.476 -0.676 1.293
O 3.479 1.146 -1.467
O 5.229 -1.427 -0.818
O -1.427 2.105 0.710
H 1.065 1.662 1.777
H 1.126 2.085 -0.016
H 3.235 1.192 0.863
H -0.942 -1.181 -1.507
H -2.295 -1.850 -1.143
H -1.305 -1.944 0.173
H -2.948 1.653 -0.953
H -3.324 0.202 -1.911
H -4.288 0.581 -0.477
H -3.702 0.222 1.671
H -2.681 -1.274 1.895
H -4.032 -1.253 0.712
H 5.595 -0.975 0.027
H 3.809 0.870 -2.295
H 4.261 -1.519 -0.511
H 2.053 -1.358 0.738
*
```

* LUMO energy: 0.0 eV
* gap between HOMO and LUMO: 0.34182 Eh
* energy above the lowest of the compared OMol25 structures with the same formula, charge and spin: 242.05 kJ/mol

C8H16OP | ωB97M-V/def2-TZVPD

Structure (ORCA input):
```
! wB97M-V def2-TZVPD RIJCOSX def2/J DEFGRID3
* xyz 1 1
C 2.616 0.164 1.276
C 2.585 0.057 -0.055
C 1.615 0.958 -0.851
P -0.090 0.639 -0.276
C -1.132 2.139 -0.139
C -1.811 2.145 1.277
O -2.224 3.107 1.764
C -0.817 -0.628 -1.391
C -0.437 -2.021 -0.784
C -1.249 -2.337 0.516
H 2.676 1.133 1.764

Dental chews and treats are specially designed to reduce plaque and tartar buildup. They work by mechanically scraping the teeth clean as your dog chews. When selecting these products, consider your dog’s size, chewing behavior, and any dietary restrictions.

Water and Food Additives

Additives can be mixed into your dog's food or water to promote dental health. These products often contain ingredients that reduce bacteria and plaque in the mouth. They are an easy, non-invasive way to boost oral hygiene.

Dental Toys

Dental toys encourage your dog to chew and play, which naturally helps clean their teeth. Look for toys made of safe, durable materials designed to remove plaque and massage the gums. Ensure the size and durability match your dog’s chewing style.

Professional Dental Cleaning

If home methods are insufficient, professional dental cleaning by a veterinarian might be necessary. This process typically involves anesthesia and allows for a thorough cleaning of your dog's teeth and gums.

Maintaining a Dental-Friendly Diet

(Quantum chemistry results, as found in the file)
/*
DFT (the ωB97M-V functional and the def2-TZVPD basis) results for the molecule C8H17N3O3 in a non-equilibrium geometry.

The energy relative to the best compared isomer or geometry (same formula, charge and spin) is 41.8 kcal/mol. Its SMILES is NCCCC[C@H](N)C(=O)NCC(=O)O. The calculation puts the LUMO energy at 0.6231 eV. The molar mass is 203.24 g/mol. As for the gap between HOMO and LUMO: 9.7 eV.

```
! wB97M-V def2-TZVPD RIJCOSX def2/J DEFGRID3
* xyz 0 1
N 5.810 -1.403 -0.350
C 4.443 -0.806 -0.488
C 3.812 -0.039 0.700
C 2.685 0.923 0.370
C 1.285 0.379 0.625
C 0.202 1.125 -0.279
N -0.191 2.462 0.131
C -1.075 0.192 -0.264
O -1.028 -1.025 -0.494
N -2.189 1.010 -0.334
C -3.489 0.473 -0.547
C -3.839 -0.827 0.141
O -4.807 -1.437 -0.326
O -3.119 -1.161 1.146
H 6.334 -1.336 -1.156
H 5.765 -2.270 0.181
H 4.718 -0.146 -1.218
H 3.731 -1.481 -0.944
H 3.707 -0.776 1.470
H 4.524 0.594 1.044
H 2.705 1.940 0.916
H 2.700 1.272 -0.639
H 1.277 -0.675 0.169
H 0.921 0.306 1.635
H 0.596 1.094 -1.354
H -0.586 3.007 -0.588
H 0.622 3.137 0.377
H -1.978 1.863 0.145
H -3.664 0.275 -1.561
H -4.301 1.218 -0.140
H -3.606 -2.055 1.376
*
```


DFT (the ωB97M-V functional and the def2-TZVPD basis) results for the ion C8H17N4OS with charge +1 in a non-equilibrium geometry.

The energy relative to the best compared isomer or geometry (same formula, charge and spin) is 0.0 kcal/mol. Its expectation value of S² is 2.01. The calculation puts the LUMO energy (alpha / beta) at -3.1390 / -6.4188 eV. The molar mass is 217.32 g/mol. As for the gap between HOMO and LUMO (alpha / beta): 7.2 / 6.7 eV.

```
! wB97M-V def2-TZVPD RIJCOSX def2/J DEFGRID3
* xyz 1 3
C 0.194 0.192 -0.765
C -0.980 -1.279 1.174
C 0.965 -1.098 -0.413
C 1.233 2.470 -0.450
C -0.435 2.001 -2.265
C 1.810 0.788 -2.459
C -3.152 -1.226 2.662
C 0.763 1.358 -1.501
N -1.025 0.082 -0.527
N -1.739 -0.727 0.256
N 0.504 -1.478 0.884
N 1.196 -1.145 2.062
O -1.344 -3.371 2.766
S -1.431 -1.731 2.839
H 0.584 -1.850 -1.277
H 2.065 -0.945 -0.475
H 1.627 3.361 -0.970
H 0.306 2.600 0.105
H 2.236 2.052 -0.074
H -0.116 2.757 -3.032
H -0.852 2.724 -1.627
H -1.143 1.194 -2.642
H 2.405 1.615 -3.033
H 1.418 0.130 -3.172
H 2.799 0.317 -1.957
H -3.715 -1.617 3.491
H -3.589 -1.481 1.604
H -3.187 -0.142 2.721
H 2.096 -1.645 2.224
H -1.251 -3.607 1.907
H 1.760 -0.297 1.943
*
```


DFT (the ωB97M-V functional and the def2-TZVPD basis) results for the molecule C8H17N5O3 in a non-equilibrium geometry.

The energy relative to the best compared isomer or geometry (same formula, charge and spin) is 51.5 kcal/mol. Its SMILES is [H]/N=C(/N)NCCC[C@H](NC(=O)CN)C(=O)O. The calculation puts the LUMO energy at 0.4795 eV. The molar mass is 231.26 g/mol. As for the gap between HOMO and LUMO: 9.8 eV.

```
! wB97M-V def2-TZVPD RIJCOSX def2/J DEFGRID3
* xyz 0 1
H -2.132 2.714 1.992
N -1.848 3.666 2.080
C -1.125 4.253 1.169
N -0.830 5.622 1.223
N -0.638 3.698 -0.072
C -1.204 2.353 -0.378
C -0.140 1.216 -0.036
C -0.476 -0.229 -0.446
C 0.569 -1.262 0.021
*/

A diet that promotes dental health can also play a significant role. Crunchy kibbles, for instance, can help scrape away plaque. Consult your vet for recommendations on dental-friendly dog foods.

Gradual Introduction to Brushing

For long-term dental care, gradually introducing your dog to brushing can be beneficial. Start with letting them taste pet-safe toothpaste, then gently brush a few teeth, and slowly increase the duration over time.

Regular Veterinary Check-Ups

Regular check-ups with your vet are vital. They can monitor your dog’s dental health and provide professional advice tailored to your pet’s needs.


While brushing is the gold standard for canine dental care, it's not always possible. Fortunately, there are various alternatives to keep your dog's teeth clean and healthy. Experiment with these options to find what works best for your pet, and always consult with your veterinarian for guidance on maintaining optimal dental health for your dog.